
Showing posts from 2017

Finally... Package.json.js

I know I have been promising to finish looking at the default files created Angular CLI for over a week now and finally we get there. Granted this isn't the most exciting subject but when we start coding in the next post, you will need to know about these files. So let's take a look at the package.json.js file. The file itself breaks down into three sections; Settings, Dependencies and DevDependencies. Let's do a quick review of each section. Settings There are a couple things you want to look at in the Settings section. First are the name, version and author properties. These are pretty obvious but I still wanted to draw your attention to them since a lot of folks leave them at the default. Take a few moments and update these. Next lets look at the start property, by default it is set to "ng serve" but if you want to run your Angular 2 app locally, you will need to change this. Angular has no concept of localhost so you need to modify this to add ...

Angular 4; is it fantastic?

== Someone pasted materials data at this point ==
┌──
The following is a theoretical powder XRD pattern of AcDy3Rh8. It was derived from a GGA-PBE-relaxed structure, using λ = 1.5418 Å (Cu Kα).
Neutral-atom scattering factors, no anomalous dispersion.

Top 10 peaks for 10 to 80 degrees two-theta, in order of rising 2θ:
Position (°2θ), I (rel.)
33.29, 49
36.00, 94
38.63, 14
39.16, 100
40.00, 77
61.26, 39
63.44, 24
66.25, 30
69.91, 27
76.33, 12

Cell and atoms:
Unit cell a=5.383 b=5.383 c=8.861 alpha=90.00 beta=90.00 gamma=120.00
Sites, in units of the cell vectors:
Ac 0.000 0.000 0.000
Dy 0.000 0.000 0.369
Dy 0.667 0.333 0.497
Dy 0.667 0.333 0.857
Rh 0.166 0.331 0.676
Rh 0.166 0.834 0.676
Rh 0.333 0.667 0.433
Rh 0.333 0.667 0.930
Rh 0.502 0.004 0.190
Rh 0.502 0.498 0.190
Rh 0.669 0.834 0.676
Rh 0.996 0.498 0.190



The following is a theoretical powder XRD pattern of AcDyTeS2. It was derived from a GGA-PBE-relaxed structure, using λ = 1.5418 Å (Cu Kα).
Neutral-atom scattering factors, no anomalous dispersion.

Top 10 peaks for 10 to 80 degrees two-theta, in order of rising 2θ:
Position (°2θ), I (rel.)
12.51, 27
22.03, 100
25.66, 75
31.16, 74
36.25, 31
36.60, 51
43.14, 36
46.54, 20
48.81, 43
52.73, 18

Cell and atoms:
Unit cell a=4.910 b=4.910 c=7.077 alpha=90.00 beta=90.00 gamma=90.00
Sites, in units of the cell vectors:
Ac 0.000 0.000 0.000
Dy 0.500 0.500 0.378
Te 0.500 0.500 0.800
S 0.000 0.500 0.238
S 0.500 0.000 0.238



The following is a theoretical powder XRD pattern of Ac2DyZrS6. It was derived from a GGA-PBE-relaxed structure, using λ = 1.5418 Å (Cu Kα).
Neutral-atom scattering factors, no anomalous dispersion.

Top 10 peaks for 10 to 80 degrees two-theta, in order of rising 2θ:
Position (°2θ), I (rel.)
17.42, 38
23.99, 32
24.44, 100
25.44, 31
34.43, 20
35.24, 29
38.62, 20
39.39, 19
42.45, 26
44.23, 16

Cell and atoms:
Unit cell a=7.291 b=7.291 c=7.003 alpha=118.70 beta=118.70 gamma=91.22
Sites, in units of the cell vectors:
Ac 0.215 0.785 0.000
Ac 0.785 0.215 0.000
Dy 0.579 0.579 0.495
Zr 0.105 0.105 0.531
S 0.257 0.257 0.347
S 0.346 0.855 0.524
S 0.422 0.422 0.993
S 0.811 0.811 0.028
S 0.855 0.346 0.524
S 0.907 0.907 0.633



The following is a theoretical powder XRD pattern of Ac2DySb2Te2. It was derived from a GGA-PBE-relaxed structure, using λ = 1.5418 Å (Cu Kα).
Neutral-atom scattering factors, no anomalous dispersion.

Top 10 peaks for 10 to 80 degrees two-theta, in order of rising 2θ:
Position (°2θ), I (rel.)
10.62, 30
22.01, 74
22.33, 20
30.85, 52
31.08, 83
31.32, 100
44.71, 61
44.89, 37
45.58, 21
55.46, 20

Cell and atoms:
Unit cell a=9.254 b=9.254 c=9.254 alpha=144.05 beta=144.05 gamma=51.75
Sites, in units of the cell vectors:
Ac 0.124 0.124 0.000
Ac 0.876 0.876 0.000
Dy 0.500 0.500 0.000
Sb 0.000 0.500 0.500
Sb 0.500 0.000 0.500
Te 0.317 0.317 0.000
Te 0.683 0.683 0.000



The following is a theoretical powder XRD pattern of AcDySc2. It was derived from a GGA-PBE-relaxed structure, using λ = 1.5418 Å (Cu Kα).
Neutral-atom scattering factors, no anomalous dispersion.
└──
== Here the piece continues ==

The good folks at Google unleashed Angular 4 or just Angular, a week ago. Let's take a look at some of the features that are new in Angular 4. In fact let's look at four of them. First, if you are curious, Google decided to skip Angular 3 and go straight to 4. Which is fine by me because I would have probably had to use a graphic of the band Rush to represent Angular 3 and no one wants that. Here are some of the features that I have taken advantage of: TypeScript 2.1 Angular 4 now supports TypeScript 2.1 which is cool but I was kinda hoping it would support TypeScript 2.2. It is my understanding that if you are using Yarn instead of the Node Package Manager, Angular 4 with 2.2 will give you fits. But we do get some cool features in TypeScript 2.1 things like async/await and also Object Rest & Spread which helps with copying and merging, a la the Redux library. You can read all the updates in TypeScript 2.1  Here  . Animations In Angular 4, animations have ...

Angular 2 vs ReactJS

**Between two parts of the article: crystal structures:**
-- begin --
Entry 1:
The following is a calculated powder diffractogram of HfMg2Tl3Te6. It was derived from a structure optimized by DFT (GGA-PBE), using copper Kα.
Peak positions follow from Bragg's law for the DFT cell and can differ from measured ones.

Principal peaks in the range 15 to 90 degrees two-theta, by angle:
d 3.694, 24.09°, intensity 12; d 3.155, 28.29°, intensity 100; d 2.930, 30.51°, intensity 12; d 2.610, 34.36°, intensity 7; d 2.312, 38.96°, intensity 23; d 2.305, 39.07°, intensity 12; d 2.160, 41.83°, intensity 37; d 1.784, 51.21°, intensity 13; d 1.665, 55.15°, intensity 8; d 1.627, 56.56°, intensity 7; d 1.577, 58.51°, intensity 11; d 1.374, 68.27°, intensity 11

Structure:
```
12
Lattice="3.736 -6.487 0.000 3.736 6.487 0.000 -2.514 0.000 7.831" Properties=species:S:1:pos:R:3 pbc="T T T"
Hf 0.000 0.000 0.000
Mg 3.736 2.156 0.000
Mg 3.736 -2.156 0.000
Tl 2.479 4.328 3.915
Tl 2.479 0.000 3.915
Tl 2.479 -4.328 3.915
Te 1.215 2.106 1.600
Te -0.086 0.000 6.208
Te 1.215 -2.106 1.600
Te 3.742 2.106 6.231
Te 5.043 0.000 1.623
Te 3.742 -2.106 6.231
```

---

Entry 2:
The following is a calculated powder diffractogram of Th7Tl2Au2. It was derived from a structure optimized by DFT (GGA-PBE), using copper Kα.
Peak positions follow from Bragg's law for the DFT cell and can differ from measured ones.

Principal peaks in the range 15 to 90 degrees two-theta, by angle:
d 3.692, 24.11°, intensity 53; d 3.445, 25.86°, intensity 43; d 3.156, 28.28°, intensity 49; d 2.853, 31.35°, intensity 75; d 2.486, 36.13°, intensity 39; d 2.472, 36.34°, intensity 100; d 2.257, 39.94°, intensity 27; d 2.186, 41.31°, intensity 31; d 2.161, 41.80°, intensity 20; d 1.723, 53.17°, intensity 19; d 1.563, 59.11°, intensity 24; d 1.392, 67.24°, intensity 17

Structure:
```
11
Lattice="4.322 -5.706 0.000 4.322 5.706 0.000 0.000 0.000 7.100" Properties=species:S:1:pos:R:3 pbc="T T T"
Th 0.000 0.000 0.000
Th 2.161 2.853 2.017
Th 2.161 2.853 5.083
Th 2.161 -2.853 2.017
Th 2.161 -2.853 5.083
Th 4.322 0.000 1.810
Th 4.322 0.000 5.291
Tl 1.450 0.000 3.550
Tl 7.194 0.000 3.550
Au 4.322 2.641 0.000
Au 4.322 -2.641 0.000
```

* * * * *

# 1
This entry pairs a crystal structure of KHfAg3Te4 with its theoretical powder X-ray diffraction pattern. Radiation: CuKα. Structure: the PBE geometry in OQMD.

The 10 most intense peaks (2θ = 10–80°), sorted by position:
Position (°2θ)  d [Å]  I/Imax
13.28  6.668  100
24.87  3.580  94
25.21  3.532  32
25.50  3.493  20
34.60  2.592  29
38.21  2.356  79
38.53  2.337  73
41.48  2.177  40
42.99  2.104  30
43.65  2.074  21

Unit cell a=6.6043 b=8.7077 c=10.8434 alpha=90.00 beta=107.01 gamma=90.00
Sites, in units of the cell vectors:
K 0.1873 0.2500 0.3972
K 0.8127 0.7500 0.6028
Hf 0.3554 0.7500 0.2135
Hf 0.6446 0.2500 0.7865
Ag 0.1434 0.2500 0.7907
Ag 0.2844 0.0166 0.9984
Ag 0.2844 0.4834 0.9984
Ag 0.7156 0.5166 0.0016
Ag 0.7156 0.9834 0.0016
Ag 0.8566 0.7500 0.2093
Te 0.0225 0.7500 0.9811
Te 0.2185 0.7500 0.4241
Te 0.3956 0.5109 0.7598
-- stop --

Last post I promised you a look at the default package.json file that is created by the Angular CLI but I thought I would pivot and share some events that have happened to me recently. As you may know, I have been looking for a new gig. One of the questions that I have gotten consistently is "What is the difference between Angular 2 and ReactJS?" I usually answer one was created by Google and one was created by Facebook. We all have a good laugh and then they say "Seriously, what is the difference?"  So let's go over how I answer this. First, let me give a couple of disclosures here. First; I don't claim to be an expert in either system and second; I have written about 5 times more Angular 1/Angular 2 code than I have React, so my natural leanings are toward Angular. I will try to keep this fair and biased though. Similarities First let's look how Angular and React are similar. First they are both a subset of JavaScript, which should strike f...

-- begin --
Record 1
Theoretical powder XRD pattern
Compound: SrAgHgF6
Radiation: λ = 1.5418 Å (Cu Kα)
Structure: DFT lattice parameters and positions (GGA-PBE)
Peak positions follow from Bragg's law for the DFT cell and can differ from measured ones.

```
18
Lattice="5.274 0.000 0.000 0.000 5.274 0.000 0.000 0.000 11.412" Properties=species:S:1:pos:R:3 pbc="T T T"
Sr 0.000 0.000 0.000
Sr 2.637 2.637 5.706
Ag 0.000 0.000 3.807
Ag 2.637 2.637 9.513
Hg 0.000 0.000 7.613
Hg 2.637 2.637 1.906
F 0.968 0.968 5.694
F 1.054 1.054 1.962
F 1.126 1.126 9.486
F 1.511 3.763 3.780
F 1.583 3.691 7.668
F 1.669 3.605 11.400
F 3.605 1.669 11.400
F 3.691 1.583 7.668
F 3.763 1.511 3.780
F 4.148 4.148 9.486
F 4.219 4.219 1.962
F 4.306 4.306 5.694
```

Main lines, sorted by position (2θ = 15–90°):
| 2θ/deg | I_rel |
| --- | --- |
| 18.53 | 21.2 |
| 23.86 | 100.0 |
| 28.94 | 94.9 |
| 34.00 | 22.3 |
| 45.24 | 78.0 |
| 48.84 | 18.7 |
| 54.13 | 21.1 |
| 55.06 | 16.6 |
| 57.77 | 23.7 |
| 68.76 | 14.4 |

***

Record 2
Theoretical powder XRD pattern
Compound: Dy3AgSn3
Radiation: λ = 1.5418 Å (Cu Kα)
Structure: DFT lattice parameters and positions (GGA-PBE)
Peak positions follow from Bragg's law for the DFT cell and can differ from measured ones.

```
14
Lattice="5.682 -2.292 0.000 5.682 2.292 0.000 -4.745 0.000 13.993" Properties=species:S:1:pos:R:3 pbc="T T T"
Dy -1.459 0.000 5.341
Dy -3.259 0.000 12.906
Dy 1.581 0.000 3.141
Dy 5.039 0.000 10.852
Dy 9.879 0.000 1.087
Dy 8.079 0.000 8.652
Ag 0.147 0.000 8.569
Ag 6.473 0.000 5.424
Sn 2.017 0.000 6.290
Sn -0.172 0.000 12.944
Sn 1.885 0.000 10.772
Sn 4.735 0.000 3.220
Sn 6.792 0.000 1.049
Sn 4.603 0.000 7.702
```

Main lines, sorted by position (2θ = 15–90°):
| 2θ/deg | I_rel |
| --- | --- |
| 30.31 | 67.4 |
| 30.66 | 32.6 |
| 31.10 | 97.6 |
| 31.56 | 54.2 |
| 35.44 | 52.6 |
| 37.22 | 100.0 |
| 38.61 | 26.0 |
| 39.32 | 66.5 |
| 51.26 | 28.5 |
| 60.50 | 21.9 |

***

Record 3
Theoretical powder XRD pattern
Compound: Tb3Nd6Sm2
Radiation: λ = 1.5418 Å (Cu Kα)
Structure: DFT lattice parameters and positions (GGA-PBE)
Peak positions follow from Bragg's law for the DFT cell and can differ from measured ones.

```
11
Lattice="1.820 1.051 32.601 -1.820 1.051 32.601 0.000 -2.101 32.601" Properties=species:S:1:pos:R:3 pbc="T T T"
Tb 0.000 0.000 0.000
Tb 0.000 0.000 26.727
Tb 0.000 0.000 71.078
Nd 0.000 0.000 8.815
Nd 0.000 0.000 17.813
Nd 0.000 0.000 35.539
Nd 0.000 0.000 62.265
Nd 0.000 0.000 79.991
Nd 0.000 0.000 88.990
Sm 0.000 0.000 44.404
Sm 0.000 0.000 53.400
```

Main lines, sorted by position (2θ = 15–90°):
| 2θ/deg | I_rel |
| --- | --- |
| 30.10 | 100.0 |
| 34.90 | 50.6 |
| 50.18 | 36.1 |
| 59.61 | 32.4 |
| 59.71 | 10.5 |
| 62.53 | 9.5 |
| 73.69 | 5.7 |
| 81.53 | 9.0 |
| 84.13 | 8.3 |
| 84.28 | 7.9 |

***

Record 4
Theoretical powder XRD pattern
Compound: Sr2LaTbS4
Radiation: λ = 1.5418 Å (Cu Kα)
Structure: DFT lattice parameters and positions (GGA-PBE)
-- stop --

Angular CLI pt2: tsconfig.json.js

Yeah, I get it, configuration files aren't exactly sexy but they are pretty handy if you need to add a third party package, change the target format for your TypeScript files or change the compiler for just in time to ahead of time. If you followed my last blog post, you now have a shiny new Angular 2 project. Lets take a look at the configuration files that the CLI gives us by default. So let's take a look at the TypeScript configuration file. tsconfig.json.js This is the configuration file for the TypeScript Compiler (TSC) . If you are not familiar with TypeScript, I highly recommend Dan Wahlin & Joe Papa's PluralSight course : TypeScript Fundamentals. A quick definition of TypeScript would be "a JavaScript format that allows a developer to write object oriented code". If you hate writing JavaScript that sounds awesome, right? The only problem is that it is written in a version of ECMAScript (es2016) that is not supported yet by modern browsers so it ...

Using the Angular CLI to set up an Angular 2 project

Angular 2 is a powerful javascript framework and you can do some amazing things with it. It is better optimized and responsive than Angularjs 1.X. So now you are all ready to go. All ready to dive feet first into Angular 2 but here is the challenge, where do you start? Angular 2 has a more in depth project set up than Angularjs 1. You can't just load a few libraries and go. Fear not, there are several ways to kick start your first project. You can search GitHub and find some start up projects, check out the starter files by Deborah Kurata, or you can use the Angular CLI to generate your start up project. So let's walk through using the CLI. Prerequisites Before we start using the Angular 2 CLI, you must have Node.JS and the Node Package Manage. You don't have them installed, you can go to and download it. Angular CLI  This will allow you to run the Angular 2 CLI and import and unpack the packages. Next, go to https://cli.angu...